____________
Entry 1:
VASP calculation (PBE) on a relaxed Rb3Ge crystal.

abc: 8.728 8.728 6.384
angles: 90.00 90.00 120.00
Element x y z (fractional)
Rb1 0.186 0.371 0.250
Rb2 0.186 0.814 0.250
Rb3 0.371 0.186 0.750
Rb4 0.629 0.814 0.250
Rb5 0.814 0.186 0.750
Rb6 0.814 0.629 0.750
Ge1 0.333 0.667 0.750
Ge2 0.667 0.333 0.250

## Properties
**E_form**: 0.8 eV per formula unit
**ρ**: 2.59 g/cm3

Entry 2:
VASP calculation (PBE) on a relaxed Rb3Ge crystal.

abc: 6.256 6.256 9.660
angles: 90.00 90.00 90.00
Element x y z (fractional)
Rb1 0.000 0.000 0.000
Rb2 0.000 0.500 0.250
Rb3 0.000 0.500 0.750
Rb4 0.500 0.000 0.250
Rb5 0.500 0.000 0.750
Rb6 0.500 0.500 0.500
Ge1 0.000 0.000 0.500
Ge2 0.500 0.500 0.000

## Properties
**E_form**: 0.8 eV per formula unit
**ρ**: 2.89 g/cm3

Entry 3:
VASP calculation (PBE) on a relaxed Rb2Ge2S5 crystal.

abc: 11.207 11.207 9.305
angles: 100.41 100.41 90.23
Element x y z (fractional)
Rb1 0.060 0.209 0.127
Rb2 0.209 0.060 0.627
Rb3 0.211 0.475 0.626
Rb4 0.475 0.211 0.126
Rb5 0.525 0.789 0.874
Rb6 0.789 0.525 0.374
Rb7 0.791 0.940 0.373
Rb8 0.940 0.791 0.873
Ge1 0.138 0.730 0.385
Ge2 0.267 0.527 0.101
Ge3 0.270 0.862 0.115
Ge4 0.473 0.733 0.399
Ge5 0.527 0.267 0.601
Ge6 0.730 0.138 0.885
Ge7 0.733 0.473 0.899
Ge8 0.862 0.270 0.615
S1 0.004 0.753 0.524
S2 0.118 0.544 0.240
S3 0.119 0.881 0.250
S4 0.244 0.355 0.955
S5 0.245 0.677 0.962
S6 0.247 0.996 0.976
S7 0.323 0.755 0.538
S8 0.355 0.244 0.455
S9 0.453 0.547 0.250
S10 0.456 0.882 0.260
S11 0.544 0.118 0.740
S12 0.547 0.453 0.750
S13 0.645 0.756 0.545
S14 0.677 0.245 0.462
S15 0.753 0.004 0.024
S16 0.755 0.323 0.038
S17 0.756 0.645 0.045
S18 0.881 0.119 0.750
S19 0.882 0.456 0.760
S20 0.996 0.247 0.476

## Properties
**E_form**: -9.5 eV per formula unit
**ρ**: 2.80 g/cm3
**Corrected total energy (MP2020 scheme)**: -4.5988 eV per atom

Entry 4:
VASP calculation (PBE) on a relaxed RbTaGeS5 crystal.

abc: 7.027 7.222 9.195
angles: 69.38 78.37 75.83
Element x y z (fractional)
Rb1 0.093 0.359 0.310
Rb2 0.907 0.641 0.690
Ta1 0.259 0.972 0.996
Ta2 0.741 0.028 0.004
Ge1 0.478 0.706 0.376
Ge2 0.522 0.294 0.624
S1 0.059 0.772 0.970
S2 0.190 0.870 0.293
S3 0.282 0.119 0.705
S4 0.431 0.610 0.644
S5 0.433 0.246 0.991
S6 0.567 0.754 0.009
S7 0.569 0.390 0.356
S8 0.718 0.881 0.295
S9 0.810 0.130 0.707
S10 0.941 0.228 0.030

## Properties
**E_form**: -9.3 eV per formula unit
**ρ**: 3.95 g/cm3
**Corrected total energy (MP2020 scheme)**: -5.9244 eV per atom

Among the records above, which one has the highest ρ? RbTaGeS5

What is the E_form in the second record? 0.8 eV per formula unit

ρ of number 2 (Rb3Ge)? 2.89 g/cm3

* * * * *

A relaxed Na2Cu3H8Se4O16 crystal. Source: Materials Project, functional GGA-PBE.

Cell: 5.2871 9.1693 16.0079 Å, 90.00 92.50 90.00°
Space group P2_1/c (No. 14)
Asymmetric unit:
Na 0.2381 0.1377 0.4607 [4 per cell]
Cu 0.1986 0.0738 0.6715 [4 per cell]
Cu 0.5000 0.0000 0.0000 [2 per cell]
H 0.0544 0.0311 0.9141 [4 per cell]
H 0.1180 0.7487 0.6809 [4 per cell]
H 0.2326 0.7132 0.0939 [4 per cell]
H 0.2963 0.0705 0.8623 [4 per cell]
Se 0.2898 0.0354 0.2265 [4 per cell]
Se 0.3007 0.7180 0.9018 [4 per cell]
O 0.0335 0.6208 0.9269 [4 per cell]
O 0.0873 0.6079 0.7538 [4 per cell]
O 0.1282 0.6727 0.1381 [4 per cell]
O 0.2262 0.0772 0.9203 [4 per cell]
O 0.2279 0.0522 0.1219 [4 per cell]
O 0.3745 0.7050 0.4997 [4 per cell]
O 0.4216 0.0594 0.7731 [4 per cell]
O 0.4848 0.0725 0.5948 [4 per cell]

Computed properties:
The total moment is 6.00 Bohr magnetons per cell.

=====

A relaxed Na2Cu2Si4H4O13 crystal. Source: Materials Project, functional GGA-PBE.

Cell: 5.2683 6.4574 8.7928 Å, 101.87 93.62 103.10°
Space group P-1 (No. 2)
Asymmetric unit:
Na 0.1425 0.1391 0.3010 [2 per cell]
Cu 0.2976 0.6217 0.5769 [2 per cell]
Si 0.0268 0.6138 0.1858 [2 per cell]
Si 0.3927 0.1689 0.6687 [2 per cell]
H 0.3404 0.2446 0.0008 [2 per cell]
H 0.4243 0.8052 0.9100 [2 per cell]
O 0.0000 0.5000 0.0000 [1 per cell]
O 0.0195 0.5583 0.7044 [2 per cell]
O 0.1916 0.2354 0.8017 [2 per cell]
____________

It remains to find "relaxed Na2Cu3H8Se4O16" and "0.7538 [4" in the lines above, and quote these two lines and those between.

A relaxed Na2Cu3H8Se4O16 crystal. Source: Materials Project, functional GGA-PBE.

Cell: 5.2871 9.1693 16.0079 Å, 90.00 92.50 90.00°
Space group P2_1/c (No. 14)
Asymmetric unit:
Na 0.2381 0.1377 0.4607 [4 per cell]
Cu 0.1986 0.0738 0.6715 [4 per cell]
Cu 0.5000 0.0000 0.0000 [2 per cell]
H 0.0544 0.0311 0.9141 [4 per cell]
H 0.1180 0.7487 0.6809 [4 per cell]
H 0.2326 0.7132 0.0939 [4 per cell]
H 0.2963 0.0705 0.8623 [4 per cell]
Se 0.2898 0.0354 0.2265 [4 per cell]
Se 0.3007 0.7180 0.9018 [4 per cell]
O 0.0335 0.6208 0.9269 [4 per cell]
O 0.0873 0.6079 0.7538 [4 per cell]